It remains to work out how many lines below have the word "energy" in them; a number is enough.
____________
Computed, not measured: a relaxed structure of CuBiPbS3 at the PBE level of DFT.

Calculated values
The calculation puts the total energy at -104.89 eV/cell. The energy relative to the elements is -0.604 eV per atom.

Structure (CIF):
```
data_CuBiPbS3
_cell_length_a 11.851
_cell_length_b 4.065
_cell_length_c 11.335
_cell_angle_alpha 90.00
_cell_angle_beta 90.00
_cell_angle_gamma 90.00
_space_group_name_H-M_alt 'P n m a'
_space_group_IT_number 62
loop_
_space_group_symop_operation_xyz
'x,y,z'
'-x,-y,-z'
'-x+1/2,-y,z+1/2'
'x+1/2,y,-z+1/2'
'x+1/2,-y+1/2,-z+1/2'
'-x+1/2,y+1/2,z+1/2'
'-x,y+1/2,-z'
'x,-y+1/2,z'
loop_
_atom_site_label
_atom_site_type_symbol
_atom_site_fract_x
_atom_site_fract_y
_atom_site_fract_z
Cu1 Cu 0.234 0.250 0.208
Bi1 Bi 0.017 0.250 0.683
Pb1 Pb 0.167 0.750 0.989
S1 S 0.047 0.250 0.144
S2 S 0.122 0.750 0.557
S3 S 0.215 0.250 0.799
```

=====

Computed, not measured: a relaxed structure of CuBi5PbS9 at the PBE level of DFT.

Calculated values
The calculation puts the total energy at -280.10 eV/cell. The energy relative to the elements is -0.629 eV per atom.

Structure (CIF):
```
data_CuBi5PbS9
_cell_length_a 11.689
_cell_length_b 4.039
_cell_length_c 33.570
_cell_angle_alpha 90.00
_cell_angle_beta 90.00
_cell_angle_gamma 90.00
_space_group_name_H-M_alt 'P n m a'
_space_group_IT_number 62
loop_
_space_group_symop_operation_xyz
'x,y,z'
'-x,-y,-z'
'-x+1/2,-y,z+1/2'
'x+1/2,y,-z+1/2'
'x+1/2,-y+1/2,-z+1/2'
'-x+1/2,y+1/2,z+1/2'
'-x,y+1/2,-z'
'x,-y+1/2,z'
loop_
_atom_site_label
_atom_site_type_symbol
_atom_site_fract_x
_atom_site_fract_y
_atom_site_fract_z
Cu1 Cu 0.221 0.250 0.238
Bi1 Bi 0.005 0.250 0.392
Bi2 Bi 0.020 0.250 0.056
Bi3 Bi 0.023 0.250 0.729
Bi4 Bi 0.150 0.750 0.155
Bi5 Bi 0.158 0.750 0.487
Pb1 Pb 0.183 0.750 0.835
S1 S 0.040 0.250 0.209
S2 S 0.050 0.250 0.882
S3 S 0.052 0.250 0.542
S4 S 0.106 0.750 0.351
S5 S 0.127 0.750 0.017
S6 S 0.129 0.750 0.687
S7 S 0.207 0.250 0.434
S8 S 0.213 0.250 0.103
S9 S 0.226 0.250 0.768
```

=====

Computed, not measured: a relaxed structure of Cu2Bi5Pb5S14 at the PBE level of DFT.

Calculated values
The calculation puts the total energy at -226.68 eV/cell. The energy relative to the elements is -0.625 eV per atom.

Structure (CIF):
```
data_Cu2Bi5Pb5S14
_cell_length_a 4.057
_cell_length_b 15.007
_cell_length_c 21.272
_cell_angle_alpha 90.00
_cell_angle_beta 90.00
_cell_angle_gamma 90.00
_space_group_name_H-M_alt 'P m c 21'
_space_group_IT_number 26
loop_
_space_group_symop_operation_xyz
'x,y,z'
'-x,-y,z+1/2'
'-x,y,z'
'x,-y,z+1/2'
loop_
_atom_site_label
_atom_site_type_symbol
_atom_site_fract_x
_atom_site_fract_y
_atom_site_fract_z
Cu1 Cu 0.000 0.078 0.000
Cu2 Cu 0.500 0.422 0.351
Bi1 Bi 0.000 0.142 0.708
Bi2 Bi 0.000 0.216 0.334
Bi3 Bi 0.000 0.412 0.484
Bi4 Bi 0.500 0.285 0.017
Bi5 Bi 0.500 0.354 0.648
Pb1 Pb 0.000 0.109 0.155
Pb2 Pb 0.000 0.355 0.841
Pb3 Pb 0.500 0.082 0.868
Pb4 Pb 0.500 0.142 0.511
Pb5 Pb 0.500 0.385 0.195
S1 S 0.000 0.012 0.788
S2 S 0.000 0.051 0.445
S3 S 0.000 0.218 0.937
S4 S 0.000 0.276 0.566
S5 S 0.000 0.297 0.111
S6 S 0.000 0.386 0.303
S7 S 0.000 0.441 0.708
S8 S 0.500 0.061 0.641
S9 S 0.500 0.114 0.048
S10 S 0.500 0.204 0.244
S11 S 0.500 0.233 0.781
S12 S 0.500 0.288 0.418
S13 S 0.500 0.451 0.908
S14 S 0.500 0.480 0.559
```

=====

Computed, not measured: a relaxed structure of CuBi3PbS6 at the PBE level of DFT.

Calculated values
The calculation puts the total energy at -96.26 eV/cell. The energy relative to the elements is -0.622 eV per atom. The value obtained for the energy above the most stable polymorph in this dataset is 0.000 eV per atom.

Structure (CIF):
```
data_CuBi3PbS6
_cell_length_a 4.042
_cell_length_b 11.159
_cell_length_c 11.808
_cell_angle_alpha 90.00
_cell_angle_beta 90.00
_cell_angle_gamma 90.00
_space_group_name_H-M_alt 'P m c 21'
_space_group_IT_number 26
loop_
_space_group_symop_operation_xyz
'x,y,z'
'-x,-y,z+1/2'
'-x,y,z'
'x,-y,z+1/2'
loop_
_atom_site_label
_atom_site_type_symbol
_atom_site_fract_x
_atom_site_fract_y
____________
4